# Data
=====
1.
Density functional theory data (GGA-PBE) for an optimized crystal structure of FeSe.

Results
* E_form: -0.30 eV/atom
* volume: 31.4 Å³/f.u.
* space group: Pnma

Unit cell a=5.2843 b=3.8285 c=6.2067 alpha=90.00 beta=90.00 gamma=90.00
Fractional coordinates of all 8 atoms:
1 Fe 0.0152 0.2500 0.2115
2 Fe 0.4848 0.7500 0.7115
3 Fe 0.5152 0.2500 0.2885
4 Fe 0.9848 0.7500 0.7885
5 Se 0.2199 0.2500 0.5871
6 Se 0.2801 0.7500 0.0871
7 Se 0.7199 0.2500 0.9129
8 Se 0.7801 0.7500 0.4129

2.
Density functional theory data (GGA-PBE) for an optimized crystal structure of FeRu.

Results
* E_form: 0.13 eV/atom
* volume: 24.6 Å³/f.u.
* space group: P-6m2

Unit cell a=2.6428 b=2.6428 c=4.0702 alpha=90.00 beta=90.00 gamma=120.00
Fractional coordinates of all 2 atoms:
1 Fe 0.0000 0.0000 0.0000
2 Ru 0.6667 0.3333 0.5000

* * * * *

# 1
Below is a relaxed V3O5F crystal, with properties calculated at the GGA+U level.

Output
polymorph energy (0 for the lowest one)	0.0173	eV/atom
space group	P2/m, No. 10
formation energy from the elements	-2.588	eV per atom

Cell: 2.970 4.668 13.982 Å, 87.47 90.00 90.00°
Element x y z (fractional)
V 0.000 0.000 0.000
V 0.000 0.021 0.343
V 0.000 0.979 0.657
V 0.500 0.473 0.159
V 0.500 0.500 0.500
V 0.500 0.527 0.841
O 0.500 0.799 0.600
O 0.500 0.802 0.935
O 0.000 0.696 0.102
O 0.000 0.708 0.765
O 0.000 0.708 0.430
O 0.000 0.292 0.235
O 0.000 0.292 0.570
O 0.000 0.304 0.898
O 0.500 0.198 0.065
O 0.500 0.201 0.400
F 0.500 0.807 0.268
F 0.500 0.193 0.732

# 2
Below is a relaxed MnSi2O6 crystal, with properties calculated at the GGA+U level.

Output
spin magnetization	3.0	μB per formula unit
polymorph energy (0 for the lowest one)	0.1004	eV/atom
space group	Pbca, No. 61
formation energy from the elements	-2.570	eV per atom

Cell: 5.072 10.360 19.295 Å, 90.00 90.00 90.00°
Element x y z (fractional)
Mn 0.439 0.550 0.374
Mn 0.561 0.450 0.626
Mn 0.939 0.450 0.126
Mn 0.061 0.550 0.874
Mn 0.439 0.050 0.126
Mn 0.561 0.950 0.874
Mn 0.939 0.950 0.374
Mn 0.061 0.050 0.626
Si 0.625 0.165 0.276
Si 0.775 0.333 0.974
Si 0.725 0.333 0.474
Si 0.875 0.665 0.724
Si 0.125 0.835 0.224
Si 0.375 0.335 0.776
Si 0.275 0.167 0.974
Si 0.775 0.833 0.526
Si 0.725 0.833 0.026
Si 0.875 0.165 0.776
Si 0.375 0.835 0.724
Si 0.625 0.665 0.224
Si 0.225 0.667 0.026
Si 0.125 0.335 0.276
Si 0.225 0.167 0.474
Si 0.275 0.667 0.526
O 0.796 0.037 0.821
O 0.338 0.540 0.572
O 0.204 0.963 0.179
O 0.780 0.862 0.442
O 0.280 0.638 0.442
O 0.977 0.715 0.544
O 0.875 0.132 0.693
O 0.125 0.368 0.193
O 0.780 0.362 0.058
O 0.875 0.632 0.807
O 0.296 0.963 0.679
O 0.720 0.862 0.942
O 0.662 0.460 0.428
O 0.375 0.368 0.693
O 0.704 0.537 0.179
O 0.338 0.040 0.928
O 0.296 0.463 0.821
O 0.170 0.218 0.794
O 0.330 0.218 0.294
O 0.523 0.215 0.456
O 0.720 0.362 0.558
O 0.625 0.132 0.193
O 0.838 0.960 0.572
O 0.170 0.718 0.706
O 0.220 0.638 0.942
O 0.625 0.632 0.307
O 0.662 0.960 0.072
O 0.280 0.138 0.058
O 0.162 0.040 0.428
O 0.670 0.282 0.794
O 0.204 0.463 0.321
O 0.830 0.282 0.294
O 0.830 0.782 0.206
O 0.838 0.460 0.928
O 0.220 0.138 0.558
O 0.162 0.540 0.072
O 0.330 0.718 0.206
O 0.023 0.285 0.456
O 0.477 0.285 0.956
O 0.670 0.782 0.706
O 0.477 0.785 0.544
O 0.523 0.715 0.044
O 0.023 0.785 0.044
O 0.375 0.868 0.807
O 0.704 0.037 0.321
O 0.977 0.215 0.956
O 0.125 0.868 0.307
O 0.796 0.537 0.679

* * * * *

i:
CsP2H5O8: optimized geometry, PBE-GGA. Values from VASP.

Structure (Quantum ESPRESSO input):
```
&SYSTEM
  ibrav = 0, nat = 64, ntyp = 4
/
ATOMIC_SPECIES
Cs 132.91 Cs.upf
P 30.97 P.upf
H 1.01 H.upf
O 16.00 O.upf
CELL_PARAMETERS angstrom
7.799 0.000 0.000
0.000 9.664 0.000
0.000 2.519 11.478
ATOMIC_POSITIONS crystal
Cs 0.660 0.469 0.253
Cs 0.160 0.031 0.747
Cs 0.340 0.531 0.747
Cs 0.840 0.969 0.253
P 0.181 0.332 0.423
P 0.681 0.168 0.577
P 0.819 0.668 0.577
P 0.319 0.832 0.423
P 0.190 0.292 0.076
P 0.690 0.208 0.924
P 0.810 0.708 0.924
P 0.310 0.792 0.076
H 0.275 0.556 0.405
H 0.775 0.944 0.595
H 0.725 0.444 0.595
H 0.225 0.056 0.405
H 0.975 0.315 0.557
H 0.475 0.185 0.443
=====
# Activity
Work out how many lines further above have the word "formula" in them; a number is enough.
# Here it is
1